File =
=====
{
  "formula": "C4H6N2O",
  "method": "wB97M-V/def2-TZVPD",
  "e_homo_ev": -8.332,
  "fmax_ev_per_a": 6.481,
  "mol_weight_g_mol": 98.1,
  "lumo_ev": 0.923,
  "total_charge": 0,
  "de_lowest_ev": 6.269,
  "symbols": ["H", "H", "H", "H", "N", "N", "C", "H", "C", "C", "H", "C", "O"],
  "positions_angstrom": [[-2.004, -1.517, 1.072], [-0.465, -0.729, 1.496], [-2.262, 1.866, 0.012], [3.450, -0.983, 0.108], [-1.351, 0.199, -0.336], [-0.707, -0.827, -0.726], [-1.761, 1.332, -0.659], [1.773, -1.020, -0.988], [-1.148, -0.825, 0.656], [2.463, -0.747, -0.285], [-1.472, 1.877, -1.599], [1.995, 0.241, 0.327], [1.489, 1.133, 0.922]],
  "nbo_charge": [0.17, 0.18, 0.19, 0.27, -0.05, -0.35, -0.24, 0.29, -0.10, -0.78, 0.20, 0.71, -0.51]
}


1.
Below is 2 unconnected molecules or ions with the total composition C2HFNO3P in a non-equilibrium geometry, with properties calculated with the ωB97M-V functional and the def2-TZVPD basis.

Last columns: bonded neighbours and bond lengths (Å).
Element x y z (Å)
1 C -1.49 -1.04 0.23  C2 1.400, N3 1.155
2 C -0.77 -0.45 -0.82  C1 1.400, F7 1.332, P8 1.909
3 N -2.07 -1.50 1.12  C1 1.155
4 O -1.11 1.50 -2.78  P8 1.502
5 O -2.74 -0.40 -2.16  P8 1.539
6 O -2.51 1.66 -0.63  P8 1.500
7 F -0.11 -1.30 -1.60  C2 1.332
8 P -1.90 0.81 -1.70  C2 1.909, O4 1.502, O5 1.539, O6 1.500
9 H 0.79 0.07 0.45  no bonds

Results
calculated total energy = -798.45488 hartree
HOMO (spin up / spin down) = -0.0069 / -0.0068 hartree
relative energy (zero: lowest compared OMol25 entry of this formula, charge and spin) = 2.971 eV
total charge = -2
molecular weight = 137.0 g/mol
gap between HOMO and LUMO (spin up / spin down) = 7.056 / 7.061 eV

---

2.
Below is a single C7H10 molecule, with properties calculated with the ωB97M-V functional and the def2-TZVPD basis.

Last columns: bonded neighbours and bond lengths (Å).
Element x y z (Å)
1 C -1.90 0.38 -0.31  C2 1.545, H8 1.096, H9 1.095, H10 1.095
2 C -0.88 -0.70 0.11  C1 1.545, C3 1.525, C7 1.492, H11 1.098
3 C 0.31 -0.87 -0.83  C2 1.525, C4 1.525, H12 1.093, H17 1.095
4 C 1.22 0.35 -0.77  C3 1.525, C5 1.498, H13 1.101, H14 1.098
5 C 1.56 0.64 0.66  C4 1.498, C6 1.361, H15 1.093
6 C 0.88 0.07 1.69  C5 1.361, C7 1.438, H16 1.087
7 C -0.47 -0.38 1.51  C2 1.492, C6 1.438
8 H -2.28 0.16 -1.32  C1 1.096
9 H -2.74 0.42 0.38  C1 1.095
10 H -1.44 1.38 -0.34  C1 1.095
11 H -1.46 -1.63 0.17  C2 1.098
12 H 0.02 -1.13 -1.85  C3 1.093
13 H 0.76 1.24 -1.23  C4 1.101
14 H 2.15 0.18 -1.32  C4 1.098
15 H 2.38 1.34 0.87  C5 1.093
16 H 1.19 0.22 2.72  C6 1.087
17 H 0.86 -1.72 -0.41  C3 1.095

Results
calculated total energy = -272.58730 hartree
HOMO (spin up / spin down) = -0.2858 / -0.2801 hartree
relative energy (zero: lowest compared OMol25 entry of this formula, charge and spin) = 3.557 eV
total charge = 0
molecular weight = 94.2 g/mol
gap between HOMO and LUMO (spin up / spin down) = 7.461 / 7.317 eV

---

3.
Below is a single CH3F2NO3S2 molecule in a non-equilibrium geometry, with properties calculated with the ωB97M-V functional and the def2-TZVPD basis.

Last columns: bonded neighbours and bond lengths (Å).
Element x y z (Å)
1 C -2.24 -0.13 -0.03  O5 1.402, H10 1.156, H11 1.156, H12 1.001
2 N 0.20 -0.51 1.63  S8 1.433
3 O 1.15 -1.49 -0.55  S8 1.455
4 O 3.19 0.38 -1.24  S9 1.409
5 O -1.11 -0.60 -0.70  C1 1.402, S8 1.575
6 F 2.70 1.84 0.68  S9 1.664
7 F 0.92 1.10 -0.69  S9 1.819
8 S 0.16 -0.77 0.23  N2 1.433, O3 1.455, O5 1.575, S9 2.579
9 S 2.46 0.37 -0.04  O4 1.409, F6 1.664, F7 1.819, S8 2.579
10 H -1.74 0.09 0.99  C1 1.156
11 H -3.00 -1.00 0.05  C1 1.156
12 H -2.69 0.72 -0.32  C1 1.001

Results
calculated total energy = -1316.29542 hartree
HOMO = -0.4112 hartree
relative energy (zero: lowest compared OMol25 entry of this formula, charge and spin) = 2.134 eV
total charge = 0
molecular weight = 179.2 g/mol
gap between HOMO and LUMO = 10.344 eV

---

4.
=====

Job =
Next, set down the lines above without altering anything.

Result =
{
  "formula": "C4H6N2O",
  "method": "wB97M-V/def2-TZVPD",
  "e_homo_ev": -8.332,
  "fmax_ev_per_a": 6.481,
  "mol_weight_g_mol": 98.1,
  "lumo_ev": 0.923,
  "total_charge": 0,
  "de_lowest_ev": 6.269,
  "symbols": ["H", "H", "H", "H", "N", "N", "C", "H", "C", "C", "H", "C", "O"],
  "positions_angstrom": [[-2.004, -1.517, 1.072], [-0.465, -0.729, 1.496], [-2.262, 1.866, 0.012], [3.450, -0.983, 0.108], [-1.351, 0.199, -0.336], [-0.707, -0.827, -0.726], [-1.761, 1.332, -0.659], [1.773, -1.020, -0.988], [-1.148, -0.825, 0.656], [2.463, -0.747, -0.285], [-1.472, 1.877, -1.599], [1.995, 0.241, 0.327], [1.489, 1.133, 0.922]],
  "nbo_charge": [0.17, 0.18, 0.19, 0.27, -0.05, -0.35, -0.24, 0.29, -0.10, -0.78, 0.20, 0.71, -0.51]
}


1.
Below is 2 unconnected molecules or ions with the total composition C2HFNO3P in a non-equilibrium geometry, with properties calculated with the ωB97M-V functional and the def2-TZVPD basis.

Last columns: bonded neighbours and bond lengths (Å).
Element x y z (Å)
1 C -1.49 -1.04 0.23  C2 1.400, N3 1.155
2 C -0.77 -0.45 -0.82  C1 1.400, F7 1.332, P8 1.909
3 N -2.07 -1.50 1.12  C1 1.155
4 O -1.11 1.50 -2.78  P8 1.502
5 O -2.74 -0.40 -2.16  P8 1.539
6 O -2.51 1.66 -0.63  P8 1.500
7 F -0.11 -1.30 -1.60  C2 1.332
8 P -1.90 0.81 -1.70  C2 1.909, O4 1.502, O5 1.539, O6 1.500
9 H 0.79 0.07 0.45  no bonds

Results
calculated total energy = -798.45488 hartree
HOMO (spin up / spin down) = -0.0069 / -0.0068 hartree
relative energy (zero: lowest compared OMol25 entry of this formula, charge and spin) = 2.971 eV
total charge = -2
molecular weight = 137.0 g/mol
gap between HOMO and LUMO (spin up / spin down) = 7.056 / 7.061 eV

---

2.
Below is a single C7H10 molecule, with properties calculated with the ωB97M-V functional and the def2-TZVPD basis.

Last columns: bonded neighbours and bond lengths (Å).
Element x y z (Å)
1 C -1.90 0.38 -0.31  C2 1.545, H8 1.096, H9 1.095, H10 1.095
2 C -0.88 -0.70 0.11  C1 1.545, C3 1.525, C7 1.492, H11 1.098
3 C 0.31 -0.87 -0.83  C2 1.525, C4 1.525, H12 1.093, H17 1.095
4 C 1.22 0.35 -0.77  C3 1.525, C5 1.498, H13 1.101, H14 1.098
5 C 1.56 0.64 0.66  C4 1.498, C6 1.361, H15 1.093
6 C 0.88 0.07 1.69  C5 1.361, C7 1.438, H16 1.087
7 C -0.47 -0.38 1.51  C2 1.492, C6 1.438
8 H -2.28 0.16 -1.32  C1 1.096
9 H -2.74 0.42 0.38  C1 1.095
10 H -1.44 1.38 -0.34  C1 1.095
11 H -1.46 -1.63 0.17  C2 1.098
12 H 0.02 -1.13 -1.85  C3 1.093
13 H 0.76 1.24 -1.23  C4 1.101
14 H 2.15 0.18 -1.32  C4 1.098
15 H 2.38 1.34 0.87  C5 1.093
16 H 1.19 0.22 2.72  C6 1.087
17 H 0.86 -1.72 -0.41  C3 1.095

Results
calculated total energy = -272.58730 hartree
HOMO (spin up / spin down) = -0.2858 / -0.2801 hartree
relative energy (zero: lowest compared OMol25 entry of this formula, charge and spin) = 3.557 eV
total charge = 0
molecular weight = 94.2 g/mol
gap between HOMO and LUMO (spin up / spin down) = 7.461 / 7.317 eV

---

3.
Below is a single CH3F2NO3S2 molecule in a non-equilibrium geometry, with properties calculated with the ωB97M-V functional and the def2-TZVPD basis.

Last columns: bonded neighbours and bond lengths (Å).
Element x y z (Å)
1 C -2.24 -0.13 -0.03  O5 1.402, H10 1.156, H11 1.156, H12 1.001
2 N 0.20 -0.51 1.63  S8 1.433
3 O 1.15 -1.49 -0.55  S8 1.455
4 O 3.19 0.38 -1.24  S9 1.409
5 O -1.11 -0.60 -0.70  C1 1.402, S8 1.575
6 F 2.70 1.84 0.68  S9 1.664
7 F 0.92 1.10 -0.69  S9 1.819
8 S 0.16 -0.77 0.23  N2 1.433, O3 1.455, O5 1.575, S9 2.579
9 S 2.46 0.37 -0.04  O4 1.409, F6 1.664, F7 1.819, S8 2.579
10 H -1.74 0.09 0.99  C1 1.156
11 H -3.00 -1.00 0.05  C1 1.156
12 H -2.69 0.72 -0.32  C1 1.001

Results
calculated total energy = -1316.29542 hartree
HOMO = -0.4112 hartree
relative energy (zero: lowest compared OMol25 entry of this formula, charge and spin) = 2.134 eV
total charge = 0
molecular weight = 179.2 g/mol
gap between HOMO and LUMO = 10.344 eV

---

4.